France has just elected its youngest president in history by an overwhelming margin. Emmanuel Macron defeated Marine Le Pen with nearly two-thirds of the vote in the presidential runoff, a margin of victory that would make most politicians exceedingly jealous. (Here I must exclude certain autocrats who would surely say, “Only 66%? I win 99% of the vote!”) This has caused many observers, including myself, to breathe a sigh of relief.
While he may be to the left of Bernie Sanders on the political spectrum, Macron is much more in the realm of normality than Le Pen, who many have branded the French version of Donald Trump. Her National Front Party is anti-immigrant, anti-EU, anti-globalization, and pretty much anti- anything that isn’t as French as a baguette wrapped in a croissant. She also seems to be opposed to people wearing religious symbols in the public square and has a worrying lack of policy know-how that became clear at times during the campaign.
Had Le Pen won, she would have pushed to pull France out of the European Union, which may well have torpedoed the entire European project. Now, you may be thinking, why should I care about the EU? Isn’t it just a bunch of stuck up, liberal, corrupt bureaucrats telling everyone how to run their business? Yes, that is probably a fair characterization of the EU. Nevertheless, and despite its multitudinous flaws, it has helped to bring about cooperation on a continent that badly needed it after being torn apart by war. It also serves as a bulwark against Russian influence, which is probably why Russian hackers were busy in the final days of the campaign attempting to sabotage the pro-EU Macron.
It is not difficult to see why Le Pen and her National Front Party should have attracted a considerable amount of support, by which I mean enough to give her the highest percentage in the initial round of voting. Along with the rest of the world, France has been heavily influenced these past few decades by rapid economic globalization, despite a number of government policies that could easily be labeled “protectionist”. (When political people use that word, it isn’t a compliment so much as an insult.)
More to the point, France has the largest Muslim population in Europe, which has caused some people to question if the country is still what it once was and if their values are under attack. They have quite literally come under attack in recent years from both domestic and foreign terrorists holding some version of the Islamic faith, however twisted. I am sure some French voters were inspired by Britain giving the boot to the EU and thought, “Why not here?”

Yet, Le Pen would have likely been a disastrous president. Her radical policies would have created chaos and probably done little to actually help France economically and even from a security standpoint. Thus, I am not remotely sad that she lost. My biggest concern is the same as many foreign policy analysts: the rise of populism in the West and the loss of faith in institutions. We saw symptoms of this in the Brexit vote, the election of Donald Trump in the United States, and the rise in popularity of various political parties on the far right and far left of the political spectrum. In each case, there has been a slightly different set of circumstances and the explanation for victory is not exactly the same. Nevertheless, it is hard to miss the overall trend.
Whether it be an international organization like the EU, multinational corporations, the “mainstream media”, or our national political regimes, average citizens certainly seem to be losing faith in our institutions. This is not simply a case of people being too stupid to know what they have, although the passing of time can certainly cause familiarity to breed contempt. I also place the blame on the institutions themselves for failing to prove their worth and or defend their existence effectively. Long-standing political parties are failing not so much because the people are too dumb to realize how much good they are doing, but because they have stopped paying attention to the people. Even so, the danger is that voters start turning to outsiders, mavericks, and upstarts who may seem charismatic and empathetic, but who in reality have just as much potential for corruption as the ones who have been around forever…and far less experience actually getting things done.
Therefore, the United States just elected as president a man who has no experience holding political office. This very fact was part of his appeal to many voters who have grown tired of politics as usual. Yet, the early days of the Trump administration have revealed just how inexperienced and unprepared are many of the people in the executive branch. They have fumbled policy rollouts, made a circus out of press conferences, spoken with competing voices, offended foreign leaders, and struggled to win over members of their own party in Congress. These are not necessarily the actions of individuals who are certifiably stupid, but rather individuals who aren’t used to the way you get things done in Washington, D.C.
People may be angry at our institutions, and not without good reason, but the answer is not to throw the baby out with the bath water. If you abandon those institutions completely, you take your chances with people who are unproven and often very radical, and the result is rarely good. The answer is to reform the institutions rather than rejecting them outright: otherwise, you are likely to end up with a kind of anarchy.
Because of this concern I have about the loss of faith in institutions, I was glad to see that a majority of French voters were unwilling to lend their support to Marine Le Pen. However, the celebration is decidedly muted. France may have dodged a bullet, but they are certainly not in the clear, for while Le Pen would have almost certainly been a disaster, there is still a good likelihood that Macron could be one as well.
I mentioned Macron’s youth relative to all the previous presidents of France. His experience at the top level of government is very limited. He certainly has never held any significant executive position of which I am aware. What is more troubling is the fact that the time he spent serving in government under the outgoing President Francois Hollande was not exactly a success. His policies alienated many and did not deliver success for his party – the Socialists. Now, Macron did not actually run as the Socialist Party candidate in this year’s election. He formed a new party called En Marche! (Yes, the exclamation point is included!), which essentially means “Let’s go!” or “Onward!” My sense is that Macron is really more style than substance. His resume seems quite thin.
Here is the real problem: due to a series of failings that I will not take the time to review, the two main parties that have dominated French politics in my lifetime – the Socialists and the Republicans – were completely absent in the final round of voting. This is almost unthinkable. It would be as if the Republicans and Democrats were not the top two parties in an American presidential election, or at the very least as if the Tories and Labour were not the top two vote getters in a UK general election. This speaks to the lack of faith that the French public has in these institutions, but it also speaks to something else: the lack of decent candidates.
Much like their American brethren last November, French voters went to the polls this spring with few good choices. I saw a headline on France24 in the final moments before the victor was announced saying that they had the highest abstention rate in years. Likewise, I heard a higher than usual amount of Americans telling me last fall that they simply could not bring themselves to vote for either of the two major candidates. (Oh yes…I was also one of those people.) I heard an even higher number of voters say they would hold their nose and pull the lever for either Trump or Clinton, but they were fairly disgusted all the same.
== Attached: materials data ==
=====
1.
12
Lattice="-1.394 4.156 0.413 -5.485 -1.166 -6.774 -4.598 -4.607 7.372" Properties=species:S:1:pos:R:3 comment="PBE Y6Sb2Te3Pb, optimized geometry" space_group="C2/m (12)" e_form_raw_mev_per_atom=-1185 pbc="T T T"
Y -8.555 -2.762 -1.079
Y -5.653 0.549 -1.133
Y -2.922 1.144 2.090
Y -1.360 -0.295 -1.622
Y -10.117 -1.323 2.634
Y -5.823 -2.166 2.145
Sb -7.880 -0.385 0.742
Sb -3.596 -1.233 0.269
Te -3.439 1.495 -3.180
Te -5.137 0.200 4.116
Te -6.339 -1.818 -3.104
Pb -0.697 2.078 0.207

2.
12
Lattice="4.326 0.000 0.000 0.000 8.974 0.305 -2.163 -2.596 9.292" Properties=species:S:1:pos:R:3 comment="PBE Y6Sb3TePb2, optimized geometry" space_group="C2/m (12)" e_form_raw_mev_per_atom=-971 pbc="T T T"
Y 0.000 6.534 6.446
Y 2.163 4.421 3.253
Y 2.163 -0.156 3.151
Y 0.000 2.299 0.083
Y 2.163 4.079 9.514
Y 0.000 1.957 6.344
Sb 2.163 4.487 0.152
Sb 2.163 -0.254 6.280
Sb 0.000 6.631 3.316
Te 2.163 0.000 0.000
Pb 2.163 4.256 6.396
Pb 0.000 2.122 3.200

3.
12
Lattice="4.394 0.000 0.000 0.000 8.812 0.324 -2.197 -2.530 9.236" Properties=species:S:1:pos:R:3 comment="PBE Y6Sb3Te2Pb, optimized geometry" space_group="C2/m (12)" e_form_raw_mev_per_atom=-1152 pbc="T T T"
Y 0.000 6.450 6.476
Y 2.197 4.369 3.219
Y 2.197 -0.167 3.085
Y 2.197 -0.325 9.280
Y 0.000 6.607 0.280
Y 0.000 1.914 6.341
Sb 2.197 4.406 0.162
Sb 2.197 -0.206 6.175
Sb 0.000 6.489 3.386
Te 2.197 4.171 6.356
Te 0.000 2.111 3.204
Pb 2.197 0.000 0.000

4.
5
Lattice="-0.143 5.359 1.851 -1.176 -1.894 5.393 5.554 -0.241 1.127" Properties=species:S:1:pos:R:3 comment="PBE Y2SbTePb, optimized geometry" space_group="P4/mmm (123)" e_form_raw_mev_per_atom=45 pbc="T T T"
Pb -0.588 -0.947 2.696
Sb 2.117 1.612 4.185
Te 0.000 0.000 0.000
Y 2.777 -0.121 0.563
Y -0.071 2.680 0.926

5.
5
Lattice="5.785 0.000 0.000 0.000 5.785 0.000 0.000 0.000 5.807" Properties=species:S:1:pos:R:3 comment="PBE YSb2TePb, optimized geometry" space_group="P4/mmm (123)" polymorph_energy_mev_per_atom=0 e_form_raw_mev_per_atom=95 pbc="T T T"
Pb 2.893 2.893 2.904
Sb 0.000 2.893 0.000
Sb 2.893 0.000 0.000
Te 0.000 0.000 2.904
Y 0.000 0.000 0.000

6.
5
Lattice="-2.383 -3.923 -3.692 2.580 -4.375 2.983 -4.763 -0.413 3.512" Properties=species:S:1:pos:R:3 comment="PBE ZnSbTe2Pb, optimized geometry" space_group="P4/mmm (123)" polymorph_energy_mev_per_atom=524 e_form_raw_mev_per_atom=766 pbc="T T T"
Pb 0.000 0.000 0.000
Sb -2.381 -0.206 1.756
Zn -2.283 -4.356 1.402
Te 1.290 -2.188 1.492
Te -1.192 -1.961 -1.846

7.
5
Lattice="-0.319 3.437 4.223 -2.737 -3.758 2.852 4.440 -1.841 1.834" Properties=species:S:1:pos:R:3 comment="PBE ZnSbTe2Pb, optimized geometry" space_group="P4/mmm (123)" polymorph_energy_mev_per_atom=0 e_form_raw_mev_per_atom=242 pbc="T T T"
Pb 0.692 -1.081 4.454
Sb 2.220 -0.921 0.917
Zn 0.000 0.000 0.000
Te -1.368 -1.879 1.426
Te -0.160 1.718 2.111

8.
12
=====
== So much for the materials data ==

The UK is getting ready to have its own general election, called early by Prime Minister Theresa May, presumably in the hope that she can take advantage of a floundering Labour Party and gain a bigger majority in parliament. Her bet may well pay off, but the fact is that most people in Britain are once again not all that excited about any of their leaders. The UK does not vote for a prime minister directly, but I think it’s safe to say that the current leader of the Labour Party, Jeremy Corbyn, is easily the most unpopular since the 1980s – maybe even a lot earlier than that. Much like Donald Trump, he has struggled to maintain the allegiance of people within his own party.
Theresa May is no Margaret Thatcher, either. She is attempting to preside over Brexit when she was campaigning against it a year ago, she has made some Britons angry with how nice she has been to Trump, and she is perhaps not as personable as former PM David Cameron, the man who led the Conservative Party to victory in 2010 and 2015.
There may be unique reasons that each of these countries is suffering from bad candidates, but it is particularly appalling to me that in a nation such as the United States, which is blessed with so many talented and resourceful people, we were left with such a bad crop of candidates last year. Here I don’t just mean the two that made it to the general election, but rather all those who competed in the primary races. The fact that an oddball like Bernie Sanders could garner so much Democratic support speaks as much to the weakness of their candidates as anything else. They had no one on the level of Obama. Likewise, the Republicans had no one capable of taking down Donald Trump: yes, Donald Trump! That, my friends, is a sad state of affairs.
There may have been no better year for a third party candidate to jump in and be successful, but the two that received widespread attention were equally objectionable to yours truly. Had someone like Michael Bloomberg run, for instance, I would have been very tempted to vote for him, even though I disagree with many of his social policies. In all the time observing politics, I had never seen such a terrible crop of primary candidates, and certainly never such a bad pairing of general election foes. Here I think even many people who are older than me would agree.
I imagine many French voters felt similarly lost attempting to vote this year. They had the arguably racist Le Pen, the style over substance that is Macron, a Republican candidate who was under criminal investigation but refused to drop out of the race, a Socialist candidate who found a way to be left of most other Socialists, and another dude who was best known for using a hologram to appear at multiple rallies at once. France is a respectable country with a great history and a decent economy, despite the weight of government regulation. Surely they could have done better than that!

This begs the question: why is there such a dearth of decent candidates in major elections? The reasons vary depending on the location. In the United States, the way we conduct primary elections, the phenomenon of gerrymandering, and the race of media outlets to one extreme or the other have certainly all contributed to candidates who are farther from the political center. The reduction of news to smaller and smaller soundbites and social media posts has raised up people who can crack a joke or make a stinging remark over those capable of conducting in-depth policy analysis. Many intelligent people may likewise be feeling that they are better off not running for office: they can accomplish more good in the private sector and make a lot more money at the same time.
If all of these trends continue unabated, and if people continue to favor those who will “drain the swamp” over those who actually understand how the swamp operates, we will continue to get stuck with terrible candidates in major elections. This will result in less effective institutions, which will in turn make people lose faith in institutions, which will in turn cause them to vote for the same type of people who created the mess in the first place. It is hard to explain all of this to voters, particularly in a ten second soundbite. It can come off sounding a little self-righteous, as if I were some kind of know-it-all assuring people to just keep the corrupt people in office for their own good. I am not in favor of corruption. I want to see government reformed. However, I do not think that simply taking a bulldozer to our revered institutions is going to help matters. We will be left with only rubble.
Therefore, France is better off than it would have been with Le Pen, but by no means if it well off, in my opinion. The global wave of populism has been somewhat slowed. The bleeding has been halted for the moment. Yet, the underlying impulses are by no means removed. We can expect more political upheaval in the coming years. I can only hope that people will start valuing character and experience in candidates rather the ability to deliver a good zinger. I hope that they will not fully distrust one institution and blindly trust another. I hope that they will demand better candidates and more accountability from their institutions, while not abandoning those institutions outright.
Those are my thoughts following this year’s French presidential election. Perhaps in the end the French were too liberal to throw in their lot with a far right candidate. Perhaps Trump and Brexit are the outliers and not the rule. Only time will tell, but I think we should only be cautiously optimistic. It may not take much to push the world back the way of Le Pen.